Mary Therese

Rice is typically associated with Asian cuisines, but it’s actually a versatile ingredient that works well with a range of flavours and seasoning. Moreover, a quick overview of rice on Verywell Fit explains that, depending on the type of rice that you choose, this ingredient can serve as a good source of carbohydrates, vitamins, and fibre. That being said, this super grain certainly deserves to be a mainstay in your pantry, and here are some reasons why:

Pushes back nausea:
If you’re feeling a little nauseous and want to throw up, studies on Medical News Today have found that eating rice is good for helping your stomach settle down. This is because your stomach tolerates bland and odourless foods better when it’s acting up, which makes rice a great contender. Moreover, it provides your body with the necessary nutrients it needs to refuel, such as carbs, protein, and iron. Eventually, you’ll be able to re-incorporate other foods back into your diet.

• Materials data, kept here for reference:
~~~
## La2SmY4 (PBE)

Data for a relaxed La2SmY4 crystal.

The structure in CIF format:
```
data_La2SmY4
_cell_length_a 16.7697
_cell_length_b 6.8183
_cell_length_c 11.7732
_cell_angle_alpha 90.00
_cell_angle_beta 134.52
_cell_angle_gamma 90.00
_symmetry_space_group_name_H-M 'C 1 2 1'
_symmetry_Int_Tables_number 5
_symmetry_space_group_name_Hall 'C 2y'
loop_
_atom_site_label
_atom_site_fract_x
_atom_site_fract_y
_atom_site_fract_z
La1 0.0000 0.0000 0.0000
La2 0.0000 0.0005 0.5000
La3 0.2228 0.8817 0.4743
Sm1 0.2249 0.8826 0.9742
Y1 0.0013 0.6699 0.7509
Y2 0.0028 0.2226 0.7528
Y3 0.1523 0.5163 0.1504
Y4 0.1535 0.5140 0.6551
```

Properties
- offset from the most stable computed form (meV/atom) = 0
- ΔH_f (0 K) (eV per atom) = 0.17

## LaSm7Y4 (PBE)

Data for a relaxed LaSm7Y4 crystal.

The structure in CIF format:
```
data_LaSm7Y4
_cell_length_a 6.3240
_cell_length_b 7.3042
_cell_length_c 9.0026
_cell_angle_alpha 90.00
_cell_angle_beta 103.65
_cell_angle_gamma 90.06
_symmetry_space_group_name_H-M 'P -1'
_symmetry_Int_Tables_number 2
_symmetry_space_group_name_Hall '-P 1'
loop_
_atom_site_label
_atom_site_fract_x
_atom_site_fract_y
_atom_site_fract_z
La1 0.0000 0.0000 0.0000
Sm1 0.0000 0.5000 0.0000
Sm2 0.2224 0.9996 0.6650
Sm3 0.2784 0.7494 0.3353
Sm4 0.4990 0.7475 0.0002
Y1 0.2199 0.4997 0.6656
Y2 0.2794 0.2531 0.3347
```

Properties
- offset from the most stable computed form (meV/atom) = 0
- ΔH_f (0 K) (eV per atom) = 0.00

## La4Sm11Y9 (PBE)

Data for a relaxed La4Sm11Y9 crystal.

The structure in CIF format:
```
data_La4Sm11Y9
_cell_length_a 17.0591
_cell_length_b 25.5325
_cell_length_c 3.7446
_cell_angle_alpha 90.00
_cell_angle_beta 90.00
_cell_angle_gamma 90.00
_symmetry_space_group_name_H-M 'C m m m'
_symmetry_Int_Tables_number 65
_symmetry_space_group_name_Hall '-C 2 2'
loop_
_atom_site_label
_atom_site_fract_x
_atom_site_fract_y
_atom_site_fract_z
La1 0.1541 0.1005 0.0000
Sm1 0.0000 0.1355 0.5000
Sm2 0.0000 0.3420 0.5000
Sm3 0.0000 0.5000 0.5000
Sm4 0.2109 0.0000 0.5000
Sm5 0.2273 0.3188 0.5000
Y1 0.0000 0.0000 0.0000
Y2 0.1010 0.2375 0.0000
Y3 0.1382 0.4272 0.0000
```

Properties
- ΔH_f (0 K) (eV per atom) = 0.06

## LaSmY (PBE)

Data for a relaxed LaSmY crystal.

The structure in CIF format:
```
data_LaSmY
_cell_length_a 4.2558
_cell_length_b 4.2558
_cell_length_c 11.4752
_cell_angle_alpha 90.00
_cell_angle_beta 90.00
_cell_angle_gamma 90.00
_symmetry_space_group_name_H-M 'I 4 m m'
_symmetry_Int_Tables_number 107
_symmetry_space_group_name_Hall 'I 4 -2'
loop_
_atom_site_label
_atom_site_fract_x
_atom_site_fract_y
_atom_site_fract_z
La1 0.0000 0.0000 0.0000
Sm1 0.0000 0.0000 0.3214
Y1 0.0000 0.0000 0.6685
```

Properties
- offset from the most stable computed form (meV/atom) = 86
- ΔH_f (0 K) (eV per atom) = 0.10

## La4Sm3Y4 (PBE)

Data for a relaxed La4Sm3Y4 crystal.

The structure in CIF format:
```
data_La4Sm3Y4
_cell_length_a 10.8232
_cell_length_b 5.8199
_cell_length_c 12.1392
_cell_angle_alpha 90.00
_cell_angle_beta 90.00
~~~
• Here the article continues:

Easy to prepare.
No matter what you’re preparing for lunch or dinner, rice is a great side dish to prep quickly for an added dose of carbohydrates. What’s more, the guides from the We Know Rice website highlight just how many options there are nowadays for good rice cookers regardless of your budget. Many of today’s rice cookers also feature intuitive controls, making it easy to set it and forget it until it’s time to eat. This is especially handy if you’re inviting guests over and you need an easy-to-cook side dish in a pinch.

Has a long shelf life:
As long as you store it in a cool, dry, airtight place at temperatures below 23 degrees, uncooked white rice can last for as long as ten years. However, its other variations, like black and red, can only last for around six months. But even with this shorter shelf life, these different types of rice are especially useful to have in case of emergencies or disasters. And with diseases and natural calamities becoming more rampant today, food writer Michelle Stark urges households to stock up on rice all the more.

You can make coffee out of it:
Ran out of coffee powder? Craving for the taste of coffee but could do without the caffeine? Rice might just do the trick. Simply roast your rice grains in a pan until it turns black. Then, boil the grains in a pot for around 30 minutes, or until the water turns opaque enough that you can’t see the bottom. You can also leave it boiling longer so the taste is more concentrated. The resulting rice-based beverage is a bit milder than your usual coffee mixes, but it does have a more pleasant taste — especially when mixed with cream.

Indeed, rice is a great ingredient to have around. Despite being treated as more of a side dish, rice can definitely take centre stage for its myriad of health benefits and taste perks.

Piece written by Mary Therese for